Danish to Sundanese Translation
Translate your Danish documents to Sundanese. Our service is fast and accurate.
Why Should You Translate Your Content?
To reach a wider audience, try translating your content into other target markets' languages.

Be local, bo vocal
A language is a dialect with an army, navy, and air force.

Speak their language
It's like the difference between eating at a restaurant near your house and one that's far out. When a reader finds your content to be relatable, he/she will be more inclined to stay longer at your site, and that's a good thing.

Break barriers
Your writing will become more concise , concise and to the point, which is the best way to get your point across - saving you time and energy in the end.
About Danish to Sundanese Translation Tool
We hope this tool is helpful and that it will save you time, but we can't guarantee any level of accuracy in the results. If you'd like to remove the Google Translation API from the text box, click here. We leave the tool powered by the Google Translation API for all to use, but we can't control how this tool is used, and we aren't responsible for any content that is translated with our app, Google Translate. We do, however, welcome any comment/suggestion/feedback that you may have and will do our best to fix any issue or error that you may find. Thank you for using our Danish to Sundanese translation tool!
Although, Google at the moment has been evolved to a point where it is capable of translating 500 characters in one go. Although this is not 100% accurate, it will be able to provide you, the reader, with a vague idea as to what the original text might have meant. Google Translate, as mentioned above, is in the process of evolving to become more intelligent and accurate over the years. Currently, the Google team is working on ways for Google Translate (and all comparable software) to become more accurate and reliable over time.
Inserted here: calculated crystals
┌──
Material: Li3FeS3
Method: DFT, GGA-PBE
State: optimized geometry

a = 12.8867 Å, b = 6.5546 Å, c = 6.6696 Å
α = 64.25°, β = 90.00°, γ = 90.00°
Element x y z (fractional)
Li1 0.0616 0.3035 0.0219
Li2 0.7827 0.6535 0.6843
S1 0.3548 0.9968 0.8260
Li3 0.2173 0.3465 0.3157
Li4 0.7173 0.6535 0.1843
Li5 0.3206 0.9408 0.2073
Fe1 0.0714 0.6874 0.3401
Li6 0.5616 0.6965 0.4781
Li7 0.9384 0.6965 0.9781
Li8 0.8206 0.0592 0.2927
Fe2 0.9286 0.3126 0.6599
Fe3 0.5714 0.3126 0.1599
S2 0.8803 0.3556 0.9588
S3 0.8895 0.6562 0.3559
Fe4 0.4286 0.6874 0.8401
Li9 0.2827 0.3465 0.8157
S4 0.1105 0.3438 0.6441
S5 0.6197 0.3556 0.4588
S6 0.1452 0.9968 0.3260
Li10 0.4384 0.3035 0.5219
S7 0.3803 0.6444 0.5412
S8 0.6452 0.0032 0.1740
S9 0.1197 0.6444 0.0412
S10 0.8548 0.0032 0.6740
Li11 0.1794 0.9408 0.7073
Li12 0.6794 0.0592 0.7927
S11 0.6105 0.6562 0.8559
S12 0.3895 0.3438 0.1441

Uncorrected energy (eV/cell): -131.065
Calculated formation energy (eV per atom): -1.096
Energy relative to the lowest polymorph listed for this composition (meV/atom): 36

***

Material: CeP2H2O8
Method: DFT, GGA-PBE
State: optimized geometry

a = 6.7224 Å, b = 7.0899 Å, c = 15.7705 Å
α = 90.00°, β = 90.00°, γ = 90.00°
Element x y z (fractional)
O1 0.3104 0.2508 0.2319
O2 0.5486 0.9180 0.1134
O3 0.8635 0.7287 0.5440
P1 0.1113 0.2186 0.5718
O4 0.5591 0.2124 0.5145
O5 0.1365 0.2287 0.9560
O6 0.6969 0.4134 0.2341
O7 0.0591 0.2876 0.4855
O8 0.1969 0.0866 0.7659
O9 0.4760 0.4240 0.7843
O10 0.6426 0.1174 0.3612
O11 0.1896 0.7492 0.7319
P2 0.6686 0.4072 0.7331
H1 0.3827 0.8634 0.8513
O12 0.4514 0.4180 0.3866
P3 0.8314 0.5928 0.2331
O13 0.6365 0.2713 0.0440
Ce1 0.1342 0.4282 0.7741
O14 0.9409 0.7876 0.0145
Ce2 0.8658 0.9282 0.7259
P4 0.6113 0.2814 0.4282
H2 0.7902 0.3851 0.4273
H3 0.7098 0.6149 0.9273
O15 0.8574 0.8826 0.8612
Ce3 0.6342 0.0718 0.2259
O16 0.3574 0.6174 0.1388
O17 0.9514 0.0820 0.6134
P5 0.3887 0.7814 0.0718
O18 0.6896 0.7508 0.2681
O19 0.5960 0.2058 0.9736
O20 0.3031 0.9134 0.2659
O21 0.4409 0.7124 0.9855
O22 0.0960 0.2942 0.0264
O23 0.4040 0.7058 0.5264
H4 0.8827 0.6366 0.1487
H5 0.2902 0.1149 0.5727
Ce4 0.3658 0.5718 0.2741
O24 0.8031 0.5866 0.7341
P6 0.1686 0.0928 0.2669
O25 0.3635 0.7713 0.4560
H6 0.2098 0.8851 0.0727
O26 0.0486 0.5820 0.8866
P7 0.8887 0.7186 0.9282
O27 0.5240 0.9240 0.7157
O28 0.8104 0.2492 0.7681
P8 0.3314 0.9072 0.7669
O29 0.9760 0.0760 0.2157
H7 0.1173 0.1366 0.3513
H8 0.6173 0.3634 0.6487
O30 0.9040 0.7942 0.4736
O31 0.0240 0.5760 0.2843
O32 0.1426 0.3826 0.6388

Uncorrected energy (eV/cell): -341.763
Calculated formation energy (eV per atom): -1.815

***

Material: Cr2SbAs
Method: DFT, GGA-PBE
State: optimized geometry

a = 3.8125 Å, b = 3.8125 Å, c = 5.8721 Å
α = 90.00°, β = 90.00°, γ = 120.00°
Element x y z (fractional)
Cr1 0.0000 0.0000 0.7339
Sb1 0.3333 0.6667 0.0000
As1 0.6667 0.3333 0.5000
Cr2 0.0000 0.0000 0.2661

Uncorrected energy (eV/cell): -28.094
Calculated formation energy (eV per atom): 0.000

***

Material: K6CuSi2O8
Method: DFT, GGA-PBE
└──
So much for the calculated crystals
IIRC there are about 1,020,000 active Danish language speakers worldwide, and about 1,93,000,000 people who are familiar with Danish. So this could be an international language, it's almost like a mix of Dutch and German.
Commonly spoken Danish to Sundanese phrases
Jeg er sulten.
Abdi lapar.
Kan jeg veksle penge?
Dupi abdi tiasa ngarobah duit?
Han har ret.
Anjeunna leres.
Vi ses i morgen.
Pendak deui énjing.
Hvordan har du det?
Kumaha damang?
Jeg er gift.
Abdi atos nikah.
Vær forsigtig.
Jeg har fri fra arbejde kl 6.
Abdi angkat ti padamelan tabuh 6.
Jeg har allerede spist.
Kuring geus dahar.
Jeg forstår det ikke
Abdi henteu ngartos
Frequently Asked Questions
We translate text using neural net based systems like Google and Microsoft services. We use cutting-edge technology like neural networks on cloud servers to process the text you enter - the neural net neural networks check the text in Danish (you enter). It then translates that text via text to Sundanese. The advantage of Google/Microsoft services is that they are constantly being improved - but we cannot easily use our own machines to do the translation because they are too complex to tune and not good enough for our service.
Yes, our automated translation tool is absolutely free, no matter if you want to change it to Sundanese or other languages!
### These records of crystals were left in the article by mistake
[1]
Entry from the Materials Project database: crystalline Li2FeF4 at its relaxed geometry (PBE+U).

Cell: 9.4687 2.8891 10.2680 Å, 90.00 90.00 90.00°
Fractional positions:
Li 0.0621 0.2500 0.1217
Li 0.0805 0.2500 0.6027
Li 0.4195 0.7500 0.1027
Li 0.4379 0.7500 0.6217
Li 0.5621 0.2500 0.3783
Li 0.5805 0.2500 0.8973
Li 0.9195 0.7500 0.3973
Li 0.9379 0.7500 0.8783
Fe 0.2396 0.7500 0.8429
Fe 0.2604 0.2500 0.3429
Fe 0.7396 0.7500 0.6571
Fe 0.7604 0.2500 0.1571
F 0.0613 0.7500 0.7235
F 0.1013 0.2500 0.9367
F 0.1258 0.7500 0.4537
F 0.1949 0.7500 0.1932
F 0.3051 0.2500 0.6932
F 0.3742 0.2500 0.9537
F 0.3987 0.7500 0.4367
F 0.4387 0.2500 0.2235
F 0.5613 0.7500 0.7765
F 0.6013 0.2500 0.5633
F 0.6258 0.7500 0.0463
F 0.6949 0.7500 0.3068
F 0.8051 0.2500 0.8068
F 0.8742 0.2500 0.5463
F 0.8987 0.7500 0.0633
F 0.9387 0.2500 0.2765

Calculated values
offset from the most stable computed form = 0.0549 eV/atom
MP2020-corrected energy = -5.69 eV/atom

[2]
Entry from the Materials Project database: crystalline Tl3Co3O8 at its relaxed geometry (PBE+U).

Cell: 5.5573 5.5988 11.3973 Å, 90.05 90.03 92.63°
Fractional positions:
Tl 0.0000 0.0000 0.0000
Tl 0.0025 0.0002 0.6441
Tl 0.4086 0.5146 0.3224
Tl 0.4964 0.5295 0.0004
Tl 0.4989 0.5293 0.6441
Tl 0.9065 0.9965 0.3224
Co 0.0055 0.4635 0.8221
Co 0.4526 0.0161 0.1517
Co 0.4542 0.0157 0.4922
Co 0.5037 0.0637 0.8223
Co 0.9488 0.5046 0.1512
Co 0.9508 0.5041 0.4930
O 0.0206 0.3993 0.3220
O 0.1497 0.8377 0.1854
O 0.1522 0.8364 0.4594
O 0.2372 0.3069 0.0999
O 0.2419 0.3070 0.5426
O 0.3554 0.3852 0.8219
O 0.3936 0.9069 0.9686
O 0.3947 0.9069 0.6755
O 0.5203 0.1250 0.3220
O 0.6399 0.7053 0.1874
O 0.6440 0.7055 0.4557
O 0.7322 0.1994 0.1027
O 0.7345 0.1978 0.5411
O 0.8592 0.1307 0.8217
O 0.8924 0.6126 0.9678
O 0.8938 0.6120 0.6759

Calculated values
offset from the most stable computed form = 0.0427 eV/atom
MP2020-corrected energy = -5.93 eV/atom

[3]
Entry from the Materials Project database: crystalline K2RbEuV2O8 at its relaxed geometry (PBE+U).

Cell: 6.1186 6.1186 7.9123 Å, 90.00 90.00 120.00°
Fractional positions:
K 0.3333 0.6667 0.2027
K 0.6667 0.3333 0.7973
Rb 0.0000 0.0000 0.5000
Eu 0.0000 0.0000 0.0000
V 0.3333 0.6667 0.7497
V 0.6667 0.3333 0.2503
O 0.1766 0.3533 0.8251
O 0.1766 0.8234 0.8251
O 0.3333 0.6667 0.5359
O 0.3533 0.1766 0.1749
O 0.6467 0.8234 0.8251
O 0.6667 0.3333 0.4641
O 0.8234 0.1766 0.1749
O 0.8234 0.6467 0.1749

Calculated values
MP2020-corrected energy = -7.65 eV/atom

[4]
Entry from the Materials Project database: crystalline HoCr2O6 at its relaxed geometry (PBE+U).

Cell: 7.4414 5.4532 5.1184 Å, 90.00 90.00 90.00°
Fractional positions:
Ho 0.0000 0.1620 0.0000
Ho 0.5000 0.8380 0.5000
Cr 0.2442 0.7206 0.0068
Cr 0.2558 0.2794 0.5068
Cr 0.7442 0.2794 0.5068
Cr 0.7558 0.7206 0.0068
O 0.0000 0.2780 0.5782
O 0.0000 0.7605 0.8983
O 0.1948 0.4392 0.1777
O 0.2117 0.9563 0.2618
O 0.2883 0.0437 0.7618
O 0.3052 0.5608 0.6777
O 0.5000 0.2395 0.3983
O 0.5000 0.7220 0.0782
O 0.6948 0.5608 0.6777
Do you have any tips for learning Danish through Sundanese?
There's a Danish-Sundanese translator. It relies on Google and Microsoft APIs. The service delivers translations in an instant .
Machine translations help people get a rough idea of what a sentence says, just like translating from Danish to Sundanese with the online machine Google Translate. Google Translate uses algorithms like this since it needs to figure out what words mean both ways around when translated so it can match up with other words equal in both languages. The algorithm will compare all the possible combinations against individual words and phrases that make up that language. If you want better contextual translation or accurate translation, visit Pepper Content’s language services (https://www.peppercontent.io/translation-services/) and get your content translated by expert translators!